How to Select the Best Mutual Fund

How to Select the Best Mutual Fund

How to select the best mutual fund

In my seminars and workshops, I am often asked this very innocuous question: “So, which is the best mutual fund to invest in? How to select the best mutual fund?” Well, the simple answer to that question is that there is no such thing as the best mutual fund. If such “best” mutual fund existed, then everybody in the world would have invested in it and in no other fund. This is similar to asking “Who is the best batsman in the world?” Even if you decide that a certain Mr. Tendulkar is the best batsman, would that necessarily mean that he would score a century in the next match being played? If Mr. Tendulkar had scored a zero in his previous innings, would you not include him in the team for the next match? Team selection is based on consistent, top class performance. Simple enough, selection of our Mutual fund investments is also based on consistent, top class performance.

However, even before we get into performance, there are other things that we need to understand. This article tries to break down the Best Mutual fund selection process into simple steps that can be followed by any investor. Even if you cannot follow all the steps, you should still be able to select a decent fund with the help of the steps that you could follow.

1.Understanding Asset Classes

Let us classify all Financial Assets into 4 asset classes, namely Equity, Debt, Cash and Gold. Equity is like investment in a partnership business. Your partner manages the business and you simply share the profits/ losses. The returns can be very high, but the risks are also higher. Debt is like loans given to acquaintances. You earn an agreed interest income and your money hopefully comes back.

However, there is a risk that the person who took the loan defaults and does not pay back your money. Cash is money that is freely available for you to do anything you like with it. You can either use it to order a pizza, buy the latest mobile phone or invest it in any other asset. Gold should be looked at as a store of value. It is a hedge against inflation. It also protects the portfolio when everything else seems to crash.

When we invest in a mutual fund, we are indirectly investing in a particular asset class

Thus, Equity funds invest in Equities, Debt funds invest in Government and Corporate debt, Cash or Liquid funds invest in Short-term debt instruments that can be easily and quickly converted into cash and Gold funds invest in Gold.

2. Understand associated Risks

Every asset class is exposed to certain risks. Most of us understand the risk in equity. We call this “market risk”. In simple terms, we know that prices of equity shares keep moving up and down. This can result in losses. For example, if we buy a share and its price falls thereafter, we suffer a (notional) loss. However, when you give loan to a person, he/she may not return the money. The risk of such loss is called Credit risk. Just like Equity, gold prices also fluctuate and are subject to market risk.

Keeping money in the form of cash may feel safe, but unless our money grows at-least at the rate of inflation, our money is losing value in real terms. Thus, all asset classes are exposed to some risks. There is no “risk free” investment. We should choose our investments based on our risk-taking capability. When it comes to mutual funds, we can evaluate mutual fund schemes on the basis of “risk adjusted returns”.

3. Determine Financial Goals (Investment Objective) and Time Horizon

Investments are a means to meet our financial goals. For example, we aspire to buy a car, go for a vacation, provide for our child’s education or for our own retirement. Some of these goals may be short term, while others could be long term. For example, a 25 year old person planning for retirement is a long term goal. A 45 year old person planning for post-graduation of his 18 year old daughter is planning for a short term goal. Understanding why we are investing and how much time does our investment have to help us meet our goal is very critical in the choice of appropriate mutual fund.

4. Asset Allocation

Just like a balanced diet is essential for our health, asset allocation is necessary for our financial health. Our financial goals will define our asset allocation. Long term goals will allow us to invest more in equity funds, whereas short term goals are best met through debt and liquid (or cash) funds. A sample, non-goal based asset allocation could be to have 40% of our money in equity, about 15% in Gold, 25% in Debt and the balance of 20% in Liquid funds. Asset allocation ensures that our portfolio is prepped up with equity, but the downside is protected with debt funds. Gold provides the perfect foil for a crisis in financial markets.

5. Understand Sub Asset Classes

After deciding the allocation across the 4 asset classes, we need to get deeper into each asset class. For example, Equity mutual funds could be further classified into Large Cap, Mid Cap and Small cap funds. Large Cap funds invest in large sized companies such as Tata Steel, L&T, TCS, etc. Mid Cap funds invest in relatively smaller companies that have the potential to become large companies in future. Small Cap funds invest in relatively small and unknown companies. The risks, as well as returns, are relatively lower in the case of Large caps. They progressively increase as we move to mid-caps and then to small caps. Similarly, all debt funds are not the same. There are Gilt funds, which invest only in Government Securities.

Bond funds invest largely in Corporate Bonds. Some funds make investments based on their prediction of interest rate movements and their impact on bonds (called Duration funds), while some focus on earning interest and minimizing the impact of fluctuation in interest rates (Accrual funds). Based on financial goals, our risk profile and time horizon, investment in each asset class has to be further sub-allocated into the sub-asset classes. For example, out of the money allocated to Equity, about 60% can be allocated to Large Cap funds and 40% to Mid and Small Cap funds. Similar allocations need to be made for Debt.

6. Fund House

Now that the categories in which we need to invest are decided, we have to start shortlisting the specific funds in each sub-asset class. One way to begin, particularly if you are new to investing, is to short-list a few fund houses. This is blatantly unfair to new asset management companies. It might also work to our disadvantage if a relatively new fund outperforms the market. However, mutual fund investments need trust and confidence, which cannot be earned in a short period of time. If a fund house has been existing for a long period of time, it would have seen the ups and downs of the market.

A new fund can also be considered, provided it has been launched by an entity which has strong credentials. Choice of a fund house with strong pedigree is some sort of insurance against risks such as fund manager not sticking to investment objectives, fund manager going overboard in his/her positions, etc. We can reasonably expect the fund to have processes and policies in place. It is just that you want to go with a “trusted and tested” partner. While you can have your own criteria for shortlisting the fund houses, one basis could be the number of years of operation. You can consider only those fund houses which have been in the business for more than 10 years.

Inserted here: materials data
- - -
1.
## LiPtO2F (PBE)

Data for crystalline LiPtO2F at its relaxed geometry.

Unit cell a=3.8318 b=3.8318 c=4.7867 alpha=90.00 beta=90.00 gamma=90.00
Fractional coordinates of all 5 atoms:
O 0.5000 0.0000 0.0000
O 0.0000 0.5000 0.0000
Li 0.5000 0.5000 0.5000
Pt 0.0000 0.0000 0.0000
F 0.0000 0.0000 0.5000

Values from the calculation:
Calculated volume   70 Å³/f.u.
Space group   P4/mmm
E_form (uncorrected)   -0.809 eV/atom
Calculated total energy   -23.79 eV for the cell shown

=====

2.
## NiAg2Br (PBE)

Data for crystalline NiAg2Br at its relaxed geometry.

Unit cell a=5.4684 b=5.4684 c=5.4684 alpha=137.72 beta=137.72 gamma=61.32
Site moments in Bohr magnetons follow the coordinates.
Fractional coordinates of all 4 atoms:
Ni 0.2500 0.7500 0.5000  0.54
Ag 0.5000 0.5000 0.0000  0.01
Ag 0.0000 0.0000 0.0000  0.01
Br 0.7500 0.2500 0.5000  0.04

Values from the calculation:
Polymorph energy (0 for the lowest one)   0.3066 eV/atom
Calculated volume   73 Å³/f.u.
Space group   I4/mmm
E_form (uncorrected)   0.468 eV/atom
Calculated total energy   -11.28 eV for the cell shown

=====

Among the records above, which one has the lowest E_form (uncorrected)?
LiPtO2F

=====

Copy entry 1 word for word.
## LiPtO2F (PBE)

Data for crystalline LiPtO2F at its relaxed geometry.

Unit cell a=3.8318 b=3.8318 c=4.7867 alpha=90.00 beta=90.00 gamma=90.00
Fractional coordinates of all 5 atoms:
O 0.5000 0.0000 0.0000
O 0.0000 0.5000 0.0000
Li 0.5000 0.5000 0.5000
Pt 0.0000 0.0000 0.0000
F 0.0000 0.0000 0.5000

Values from the calculation:
Calculated volume   70 Å³/f.u.
Space group   P4/mmm
E_form (uncorrected)   -0.809 eV/atom
Calculated total energy   -23.79 eV for the cell shown

=====

calculated volume of number 2 (NiAg2Br)?
73 Å³/f.u.
- - -

7. Fund Size

We must remember that mutual funds charge us for their services. This is because they incur expenses such as rent, salaries, travel, etc like any other business. If the fund is managing a large amount, these expenses get spread over a larger corpus. Thus, as investors in a large fund, we get “economies of scale”. A large fund is a testimony to the fact that it is being trusted by a large number of people. We get the “comfort of numbers” although that should not be the reason for our choice. An equity fund managing at least Rs.2000 crores would be a good cut-off criterion.

8. Fund Performance

This is probably the most important criteria. The standard disclaimer made by any fund house, portfolio manager or advisor is that past performance may not be repeatable in future. However, past performance cannot be ignored. If we have shortlisted funds which have been in existence for more than 10 years, we get to see how these funds have performed over a long period of time. However, apart from looking at returns across different periods, we should look at Risk. If one wishes to just look at risk, standard deviation indicates the risk inherent in the portfolio. Higher the standard deviation, higher is the risk. Risk-adjusted returns tell us how much return the fund has earned for a given unit of risk taken. While this looks complicated, tools such as Sharpe Ratio and Treynor’s ratio are measures of risk-adjusted return.

9. Fund Manager

Often, the performance of the fund is the direct result of the calls taken by a smart and savvy fund manager. However, in such cases, the fund performance can dip when the fund manager quits. Hence, we need to know whether the fund is managed by only one person or by a team. We should look at total years of experience of each of the fund manager as well as their association with the fund currently being managed by them. One should also look at the performance of other funds that are being managed by the fund manager.

The association of the fund manager with the fund and its performance during the corresponding period can give us some insights into the quality of the best fund manager. If the fund manager has been managing the fund across the ups and downs of the market, it gives us greater comfort in his/ her ability to steer our money into the uncertain future.

10. Portfolio Diversification and Portfolio Churn

Do take some time to study the portfolio of the fund. Do all stocks look the same? For example, do the top picks consist of HDFC Bank, ICICI Bank and SBI? One of the reasons we choose a best mutual fund is to benefit from diversification. If the fund is having too much concentration in a few stocks or sectors, then the purpose is not served. Too many changes in the portfolio is not an encouraging sign.

11. Loads, Commissions, and Fees

This is probably the least emphasized aspect of best mutual fund selection. Mutual fund investments are subject to various expenses such as loads and commissions. Thankfully, entry loads are now restricted to Rs.100 and no longer percentage based. Exit loads discourage investors from redeeming their investments before a certain time and are a blessing in disguise. The big robbery is in terms of commissions. It is very easy to avoid these hidden charges. Having short-listed a fund, simply opt for the “Direct plan”. No broker or bank or online platform which does not charge you separate fees for their services will recommend direct plans for you. Online trading platforms like Jama, which charge you a nominal subscription or advisory fee, suggest ONLY Direct plans.

The differential when you buy a “Direct” vs “Regular” plan is significantly higher. However, you may not have the friendly broker helping you anymore. You will have to do it yourself, but as your experience with Jama proves, it is unbelievably simple. Suffice it to say that by subscribing to a Regular plan, you are allowing yourself to be robbed.

12. Feel good factor

Based on the above criteria, you would hopefully be able to shortlist a few funds under each category. You can choose any two out of your shortlist in each category. Which two of the short-listed funds should be chosen is best answered by your heart. You may prefer to choose one over the other for reasons that you might not be able to explain logically. That is perfectly fine. You will not be too much off target, if you have followed the earlier steps without much of a compromise. Ultimately, your choice of one best batsman between Dravid, Sachin, Laxman and Ganguly won’t land you in trouble, irrespective of the choice you made!

Happy Investing!

Conclusion :

Based on the investment plan, the category of funds should be chosen from debt, equity or hybrid category. Within a category the right scheme can be selected based on criteria such as past performance of the scheme, comparison with peer set and benchmark, volatility measures and risk adjusted performance of the scheme, scheme size, expense ratio of the scheme.